[Entries]
/*
Entry 1:
## Ba2LiTmCu3O7 (GGA-PBE)

Data for a relaxed structure of Ba2LiTmCu3O7.

Unit cell a=3.862 b=4.115 c=11.780 alpha=90.00 beta=90.00 gamma=91.71
Atoms (fractional coordinates):
O (0.984, 0.498, 0.618)
O (0.009, 0.987, 0.159)
O (0.984, 0.498, 0.382)
O (0.009, 0.987, 0.841)
O (0.506, 0.010, 0.619)
O (0.506, 0.010, 0.381)
O (0.009, 0.488, 0.000)
Cu (0.009, 0.983, 0.667)
Cu (0.009, 0.987, 0.000)
Cu (0.009, 0.983, 0.333)
Ba (0.511, 0.484, 0.823)
Ba (0.511, 0.484, 0.177)
Li (0.848, 0.171, 0.500)
Tm (0.433, 0.596, 0.500)

Calculated values
Formation energy from the elements   -2043 meV per atom
Energy   -5.783 eV per atom
Magnetic moment   0.00 Bohr magnetons per cell


Entry 2:
## SmMgPd (GGA-PBE)

Data for a relaxed structure of SmMgPd.

Unit cell a=4.059 b=7.616 c=7.616 alpha=120.00 beta=90.00 gamma=90.00
Atoms (fractional coordinates):
Sm (0.500, 0.585, 0.000)
Sm (0.500, 0.000, 0.585)
Sm (0.500, 0.415, 0.415)
Pd (0.000, 0.667, 0.333)
Pd (0.500, 0.000, 0.000)
Pd (0.000, 0.333, 0.667)
Mg (0.000, 0.000, 0.241)
Mg (0.000, 0.241, 0.000)
Mg (0.000, 0.759, 0.759)

Calculated values
Formation energy from the elements   -671 meV per atom
Energy   -4.504 eV per atom


Entry 3:
## Li7Mn2N3 (GGA-PBE)

Data for a relaxed structure of Li7Mn2N3.

Unit cell a=3.834 b=6.488 c=6.486 alpha=59.99 beta=90.00 gamma=90.00
Atoms (fractional coordinates):
Li (0.500, 0.000, 0.000)
Li (0.000, 0.000, 0.327)
Li (0.000, 0.327, 0.673)
Li (0.000, 0.327, 0.000)
Li (0.000, 0.673, 0.327)
Li (0.000, 0.672, 0.000)
Li (0.000, 0.000, 0.673)
N (0.000, 0.000, 0.000)
N (0.000, 0.333, 0.334)
N (0.000, 0.667, 0.666)
Mn (0.500, 0.333, 0.333)
Mn (0.500, 0.667, 0.667)

Calculated values
Formation energy from the elements   -373 meV per atom
Energy   -5.007 eV per atom


Entry 4:
## Sm3Ge13Os4 (GGA-PBE)

Data for a relaxed structure of Sm3Ge13Os4.

Unit cell a=9.136 b=9.136 c=9.136 alpha=90.00 beta=90.00 gamma=90.00
Atoms (fractional coordinates):
Ge (0.000, 0.854, 0.701)
Ge (0.646, 0.500, 0.799)
Ge (0.500, 0.799, 0.354)
Ge (0.299, 0.000, 0.146)
Ge (0.854, 0.299, 0.000)
Ge (0.201, 0.354, 0.500)
Ge (0.799, 0.354, 0.500)
Ge (0.500, 0.799, 0.646)
Ge (0.701, 0.000, 0.146)
Ge (0.701, 0.000, 0.854)
Ge (0.500, 0.500, 0.500)
Ge (0.146, 0.299, 0.000)
Ge (0.799, 0.646, 0.500)
Ge (0.146, 0.701, 0.000)
Ge (0.299, 0.000, 0.854)
Ge (0.000, 0.854, 0.299)
Ge (0.854, 0.701, 0.000)
Ge (0.500, 0.201, 0.354)
Ge (0.646, 0.500, 0.201)
Ge (0.000, 0.146, 0.299)
Ge (0.201, 0.646, 0.500)
Ge (0.000, 0.146, 0.701)
Ge (0.000, 0.000, 0.000)
Ge (0.354, 0.500, 0.799)
Ge (0.354, 0.500, 0.201)
Ge (0.500, 0.201, 0.646)
Sm (0.000, 0.500, 0.750)
Sm (0.750, 0.000, 0.500)
Sm (0.250, 0.000, 0.500)
Sm (0.000, 0.500, 0.250)
Sm (0.500, 0.250, 0.000)
Sm (0.500, 0.750, 0.000)
Os (0.250, 0.750, 0.750)
Os (0.750, 0.750, 0.750)
Os (0.750, 0.750, 0.250)
Os (0.250, 0.750, 0.250)
Os (0.250, 0.250, 0.250)
Os (0.750, 0.250, 0.250)
Os (0.250, 0.250, 0.750)
Os (0.750, 0.250, 0.750)

Calculated values
Formation energy from the elements   -338 meV per atom
Energy   -6.296 eV per atom
Magnetic moment   0.00 Bohr magnetons per cell


Entry 5:
## Na2LaTaSi2SO12 (GGA-PBE)

Data for a relaxed structure of Na2LaTaSi2SO12.

Unit cell a=9.342 b=9.342 c=23.032 alpha=91.04 beta=88.96 gamma=118.59
Atoms (fractional coordinates):
O (0.128, 0.663, 0.079)
O (0.030, 0.201, 0.190)
O (0.619, 0.151, 0.426)
O (0.871, 0.354, 0.246)
O (0.646, 0.129, 0.746)
O (0.197, 0.495, 0.257)
O (0.838, 0.470, 0.423)
O (0.609, 0.472, 0.917)
O (0.221, 0.001, 0.303)
O (0.041, 0.827, 0.698)
O (0.905, 0.547, 0.740)
O (0.815, 0.518, 0.031)
O (0.507, 0.626, 0.865)
O (0.816, 0.851, 0.198)
O (0.364, 0.867, 0.857)
O (0.530, 0.162, 0.923)
O (0.183, 0.048, 0.593)
O (0.799, 0.970, 0.690)
O (0.548, 0.866, 0.478)
O (0.555, 0.667, 0.969)
O (0.482, 0.185, 0.531)
O (0.505, 0.803, 0.757)
O (0.205, 0.020, 0.913)
O (0.861, 0.058, 0.083)
O (0.134, 0.452, 0.978)
O (0.697, 0.534, 0.524)
O (0.666, 0.112, 0.136)
O (0.171, 0.137, 0.090)
O (0.313, 0.462, 0.079)
O (0.337, 0.872, 0.579)
*/
[What to do]
Please quote the lines further above up to the one that holds "0.746)", that line included.
[Here it is]
Entry 1:
## Ba2LiTmCu3O7 (GGA-PBE)

Data for a relaxed structure of Ba2LiTmCu3O7.

Unit cell a=3.862 b=4.115 c=11.780 alpha=90.00 beta=90.00 gamma=91.71
Atoms (fractional coordinates):
O (0.984, 0.498, 0.618)
O (0.009, 0.987, 0.159)
O (0.984, 0.498, 0.382)
O (0.009, 0.987, 0.841)
O (0.506, 0.010, 0.619)
O (0.506, 0.010, 0.381)
O (0.009, 0.488, 0.000)
Cu (0.009, 0.983, 0.667)
Cu (0.009, 0.987, 0.000)
Cu (0.009, 0.983, 0.333)
Ba (0.511, 0.484, 0.823)
Ba (0.511, 0.484, 0.177)
Li (0.848, 0.171, 0.500)
Tm (0.433, 0.596, 0.500)

Calculated values
Formation energy from the elements   -2043 meV per atom
Energy   -5.783 eV per atom
Magnetic moment   0.00 Bohr magnetons per cell


Entry 2:
## SmMgPd (GGA-PBE)

Data for a relaxed structure of SmMgPd.

Unit cell a=4.059 b=7.616 c=7.616 alpha=120.00 beta=90.00 gamma=90.00
Atoms (fractional coordinates):
Sm (0.500, 0.585, 0.000)
Sm (0.500, 0.000, 0.585)
Sm (0.500, 0.415, 0.415)
Pd (0.000, 0.667, 0.333)
Pd (0.500, 0.000, 0.000)
Pd (0.000, 0.333, 0.667)
Mg (0.000, 0.000, 0.241)
Mg (0.000, 0.241, 0.000)
Mg (0.000, 0.759, 0.759)

Calculated values
Formation energy from the elements   -671 meV per atom
Energy   -4.504 eV per atom


Entry 3:
## Li7Mn2N3 (GGA-PBE)

Data for a relaxed structure of Li7Mn2N3.

Unit cell a=3.834 b=6.488 c=6.486 alpha=59.99 beta=90.00 gamma=90.00
Atoms (fractional coordinates):
Li (0.500, 0.000, 0.000)
Li (0.000, 0.000, 0.327)
Li (0.000, 0.327, 0.673)
Li (0.000, 0.327, 0.000)
Li (0.000, 0.673, 0.327)
Li (0.000, 0.672, 0.000)
Li (0.000, 0.000, 0.673)
N (0.000, 0.000, 0.000)
N (0.000, 0.333, 0.334)
N (0.000, 0.667, 0.666)
Mn (0.500, 0.333, 0.333)
Mn (0.500, 0.667, 0.667)

Calculated values
Formation energy from the elements   -373 meV per atom
Energy   -5.007 eV per atom


Entry 4:
## Sm3Ge13Os4 (GGA-PBE)

Data for a relaxed structure of Sm3Ge13Os4.

Unit cell a=9.136 b=9.136 c=9.136 alpha=90.00 beta=90.00 gamma=90.00
Atoms (fractional coordinates):
Ge (0.000, 0.854, 0.701)
Ge (0.646, 0.500, 0.799)
Ge (0.500, 0.799, 0.354)
Ge (0.299, 0.000, 0.146)
Ge (0.854, 0.299, 0.000)
Ge (0.201, 0.354, 0.500)
Ge (0.799, 0.354, 0.500)
Ge (0.500, 0.799, 0.646)
Ge (0.701, 0.000, 0.146)
Ge (0.701, 0.000, 0.854)
Ge (0.500, 0.500, 0.500)
Ge (0.146, 0.299, 0.000)
Ge (0.799, 0.646, 0.500)
Ge (0.146, 0.701, 0.000)
Ge (0.299, 0.000, 0.854)
Ge (0.000, 0.854, 0.299)
Ge (0.854, 0.701, 0.000)
Ge (0.500, 0.201, 0.354)
Ge (0.646, 0.500, 0.201)
Ge (0.000, 0.146, 0.299)
Ge (0.201, 0.646, 0.500)
Ge (0.000, 0.146, 0.701)
Ge (0.000, 0.000, 0.000)
Ge (0.354, 0.500, 0.799)
Ge (0.354, 0.500, 0.201)
Ge (0.500, 0.201, 0.646)
Sm (0.000, 0.500, 0.750)
Sm (0.750, 0.000, 0.500)
Sm (0.250, 0.000, 0.500)
Sm (0.000, 0.500, 0.250)
Sm (0.500, 0.250, 0.000)
Sm (0.500, 0.750, 0.000)
Os (0.250, 0.750, 0.750)
Os (0.750, 0.750, 0.750)
Os (0.750, 0.750, 0.250)
Os (0.250, 0.750, 0.250)
Os (0.250, 0.250, 0.250)
Os (0.750, 0.250, 0.250)
Os (0.250, 0.250, 0.750)
Os (0.750, 0.250, 0.750)

Calculated values
Formation energy from the elements   -338 meV per atom
Energy   -6.296 eV per atom
Magnetic moment   0.00 Bohr magnetons per cell


Entry 5:
## Na2LaTaSi2SO12 (GGA-PBE)

Data for a relaxed structure of Na2LaTaSi2SO12.

Unit cell a=9.342 b=9.342 c=23.032 alpha=91.04 beta=88.96 gamma=118.59
Atoms (fractional coordinates):
O (0.128, 0.663, 0.079)
O (0.030, 0.201, 0.190)
O (0.619, 0.151, 0.426)
O (0.871, 0.354, 0.246)
O (0.646, 0.129, 0.746)